Activity =
Next, find the line further down that holds "-1.390", then restate that line and all lines after it there.

Listing =
........
The following is a quantum chemistry calculation of a single C2H8N3 molecule at a distorted geometry, from the OMol25 dataset.

**Molar mass**: 74.11 g/mol
**LUMO energy (spin up / spin down)**: 1.17 / 0.95 eV
**Energy relative to the best compared isomer or geometry (same formula, charge and spin)**: 0.3 kcal/mol
**Gap between HOMO and LUMO (spin up / spin down)**: 5.0 / 9.9 eV
**HOMO (spin up / spin down)**: -3.8 / -9.0 eV

```
! RIJCOSX wB97M-V def2-TZVPD def2/J DEFGRID3
* xyz 0 2
C -0.935 1.048 -1.167
N 0.293 0.348 -0.778
C 0.365 -0.381 0.404
N 1.438 -0.232 1.285
N -0.709 -1.216 0.755
H -0.676 1.647 -2.038
H -1.713 0.333 -1.390
H -1.286 1.749 -0.404
H 1.130 0.826 -1.061
H 2.289 0.198 0.972
H 1.591 -0.936 1.989
H -0.530 -1.891 1.478
H -1.256 -1.491 -0.044
*
```

---

The following is a quantum chemistry calculation of 4 unconnected molecules or ions with the total composition C23H52BrIN4O11P at a distorted geometry, from the OMol25 dataset.

**Molar mass**: 798.47 g/mol
**LUMO energy**: -3.38 eV
**Gap between HOMO and LUMO**: 7.3 eV
**HOMO**: -10.7 eV

```
! RIJCOSX wB97M-V def2-TZVPD def2/J DEFGRID3
* xyz 1 1
C -0.559 -3.083 2.901
C -2.065 -3.266 3.093
C -2.884 -2.745 1.913
O -3.674 -1.588 2.224
C -2.973 -0.441 2.393
N -2.737 0.379 1.166
C -1.563 0.110 0.301
C -0.467 1.167 0.370
C 0.011 1.463 1.789
C 1.479 1.804 1.820
O 2.249 0.693 1.404
C -3.172 1.593 1.339
N -3.392 2.487 0.432
C -3.910 3.832 0.723
O -3.029 4.607 1.502
N -1.728 4.629 0.916
O -0.945 5.013 1.673
N -3.445 1.854 2.714
C -3.886 0.533 3.158
I -3.514 0.265 5.259
P -5.668 0.483 2.566
O -6.309 -0.712 3.447
Br -6.489 2.363 3.506
H -0.040 -3.040 3.847
H -0.353 -2.145 2.391
H -0.130 -3.868 2.286
H -2.225 -4.334 3.124
H -2.407 -2.887 4.048
H -2.239 -2.592 1.054
H -3.581 -3.510 1.621
H -1.986 -0.562 2.829
H -1.904 0.040 -0.728
H -1.124 -0.836 0.562
H 0.373 0.776 -0.188
H -0.785 2.060 -0.161
H -0.498 2.362 2.124
H -0.240 0.681 2.496
H 1.743 2.076 2.835
H 1.668 2.679 1.206
H 2.683 0.309 2.174
H -3.193 2.236 -0.527
H -4.811 3.728 1.301
H -4.093 4.300 -0.232
H -2.553 2.080 3.153
H -7.228 -0.446 3.636
C 0.151 7.906 2.499
O 0.339 9.254 2.124
C 1.678 9.699 2.298
C 2.441 9.703 0.992
O 2.616 8.387 0.481
C 1.704 8.066 -0.553
H -0.812 7.582 2.106
H 0.932 7.257 2.094
H 0.131 7.814 3.591
H 2.195 9.084 3.040
H 1.632 10.722 2.681
H 3.438 10.116 1.168
H 1.939 10.339 0.257
H 1.996 8.561 -1.485
H 0.681 8.350 -0.295
H 1.743 6.987 -0.704
C 0.819 -6.578 0.709
O 1.204 -5.226 0.504
C 2.519 -4.954 0.978
C 3.528 -4.933 -0.149
O 3.679 -6.212 -0.739
C 2.971 -6.351 -1.960
H -0.066 -6.768 0.103
H 1.605 -7.273 0.410
H 0.566 -6.747 1.762
H 2.811 -5.678 1.743
H 2.492 -3.963 1.445
H 4.503 -4.649 0.260
H 3.248 -4.189 -0.901
H 3.498 -5.821 -2.761
H 1.949 -5.973 -1.886
H 2.935 -7.411 -2.205
C 1.419 -3.631 -8.252
O 2.619 -3.507 -7.508
C 2.434 -2.919 -6.233
C 2.407 -3.958 -5.133
O 1.276 -4.811 -5.239
C 1.590 -6.065 -5.824
H 1.613 -4.304 -9.085
H 0.608 -4.044 -7.648
H 1.116 -2.658 -8.651
H 1.520 -2.317 -6.213
H 3.282 -2.248 -6.060
H 2.334 -3.446 -4.167
H 3.333 -4.541 -5.136
H 2.114 -6.696 -5.098
H 2.205 -5.952 -6.718
H 0.657 -6.552 -6.100
*
```

---

The following is a quantum chemistry calculation of a single F2 molecule at a distorted geometry, from the OMol25 dataset.

**Molar mass**: 38.00 g/mol
**LUMO energy**: -1.64 eV
**Energy relative to the best compared isomer or geometry (same formula, charge and spin)**: 0.8 kcal/mol
**SMILES string**: FF
**Gap between HOMO and LUMO**: 12.9 eV
**HOMO**: -14.5 eV

```
! RIJCOSX wB97M-V def2-TZVPD def2/J DEFGRID3
* xyz 0 1
F 0.000 0.000 0.712
F 0.000 0.000 -0.712
*
```

---

The following is a quantum chemistry calculation of a molecular structure, C29H31N4O4PdSSi, from the OMol25 dataset.

**Molar mass**: 666.16 g/mol
**LUMO energy**: 2.30 eV
**Energy relative to the best compared isomer or geometry (same formula, charge and spin)**: 0.0 kcal/mol
**Gap between HOMO and LUMO**: 6.3 eV
**HOMO**: -4.0 eV

```
! RIJCOSX wB97M-V def2-TZVPD def2/J DEFGRID3
* xyz -1 1
........

Worked solution =
H -1.713 0.333 -1.390
H -1.286 1.749 -0.404
H 1.130 0.826 -1.061
H 2.289 0.198 0.972
H 1.591 -0.936 1.989
H -0.530 -1.891 1.478
H -1.256 -1.491 -0.044
*
```

---

The following is a quantum chemistry calculation of 4 unconnected molecules or ions with the total composition C23H52BrIN4O11P at a distorted geometry, from the OMol25 dataset.

**Molar mass**: 798.47 g/mol
**LUMO energy**: -3.38 eV
**Gap between HOMO and LUMO**: 7.3 eV
**HOMO**: -10.7 eV

```
! RIJCOSX wB97M-V def2-TZVPD def2/J DEFGRID3
* xyz 1 1
C -0.559 -3.083 2.901
C -2.065 -3.266 3.093
C -2.884 -2.745 1.913
O -3.674 -1.588 2.224
C -2.973 -0.441 2.393
N -2.737 0.379 1.166
C -1.563 0.110 0.301
C -0.467 1.167 0.370
C 0.011 1.463 1.789
C 1.479 1.804 1.820
O 2.249 0.693 1.404
C -3.172 1.593 1.339
N -3.392 2.487 0.432
C -3.910 3.832 0.723
O -3.029 4.607 1.502
N -1.728 4.629 0.916
O -0.945 5.013 1.673
N -3.445 1.854 2.714
C -3.886 0.533 3.158
I -3.514 0.265 5.259
P -5.668 0.483 2.566
O -6.309 -0.712 3.447
Br -6.489 2.363 3.506
H -0.040 -3.040 3.847
H -0.353 -2.145 2.391
H -0.130 -3.868 2.286
H -2.225 -4.334 3.124
H -2.407 -2.887 4.048
H -2.239 -2.592 1.054
H -3.581 -3.510 1.621
H -1.986 -0.562 2.829
H -1.904 0.040 -0.728
H -1.124 -0.836 0.562
H 0.373 0.776 -0.188
H -0.785 2.060 -0.161
H -0.498 2.362 2.124
H -0.240 0.681 2.496
H 1.743 2.076 2.835
H 1.668 2.679 1.206
H 2.683 0.309 2.174
H -3.193 2.236 -0.527
H -4.811 3.728 1.301
H -4.093 4.300 -0.232
H -2.553 2.080 3.153
H -7.228 -0.446 3.636
C 0.151 7.906 2.499
O 0.339 9.254 2.124
C 1.678 9.699 2.298
C 2.441 9.703 0.992
O 2.616 8.387 0.481
C 1.704 8.066 -0.553
H -0.812 7.582 2.106
H 0.932 7.257 2.094
H 0.131 7.814 3.591
H 2.195 9.084 3.040
H 1.632 10.722 2.681
H 3.438 10.116 1.168
H 1.939 10.339 0.257
H 1.996 8.561 -1.485
H 0.681 8.350 -0.295
H 1.743 6.987 -0.704
C 0.819 -6.578 0.709
O 1.204 -5.226 0.504
C 2.519 -4.954 0.978
C 3.528 -4.933 -0.149
O 3.679 -6.212 -0.739
C 2.971 -6.351 -1.960
H -0.066 -6.768 0.103
H 1.605 -7.273 0.410
H 0.566 -6.747 1.762
H 2.811 -5.678 1.743
H 2.492 -3.963 1.445
H 4.503 -4.649 0.260
H 3.248 -4.189 -0.901
H 3.498 -5.821 -2.761
H 1.949 -5.973 -1.886
H 2.935 -7.411 -2.205
C 1.419 -3.631 -8.252
O 2.619 -3.507 -7.508
C 2.434 -2.919 -6.233
C 2.407 -3.958 -5.133
O 1.276 -4.811 -5.239
C 1.590 -6.065 -5.824
H 1.613 -4.304 -9.085
H 0.608 -4.044 -7.648
H 1.116 -2.658 -8.651
H 1.520 -2.317 -6.213
H 3.282 -2.248 -6.060
H 2.334 -3.446 -4.167
H 3.333 -4.541 -5.136
H 2.114 -6.696 -5.098
H 2.205 -5.952 -6.718
H 0.657 -6.552 -6.100
*
```

---

The following is a quantum chemistry calculation of a single F2 molecule at a distorted geometry, from the OMol25 dataset.

**Molar mass**: 38.00 g/mol
**LUMO energy**: -1.64 eV
**Energy relative to the best compared isomer or geometry (same formula, charge and spin)**: 0.8 kcal/mol
**SMILES string**: FF
**Gap between HOMO and LUMO**: 12.9 eV
**HOMO**: -14.5 eV

```
! RIJCOSX wB97M-V def2-TZVPD def2/J DEFGRID3
* xyz 0 1
F 0.000 0.000 0.712
F 0.000 0.000 -0.712
*
```

---

The following is a quantum chemistry calculation of a molecular structure, C29H31N4O4PdSSi, from the OMol25 dataset.

**Molar mass**: 666.16 g/mol
**LUMO energy**: 2.30 eV
**Energy relative to the best compared isomer or geometry (same formula, charge and spin)**: 0.0 kcal/mol
**Gap between HOMO and LUMO**: 6.3 eV
**HOMO**: -4.0 eV

```
! RIJCOSX wB97M-V def2-TZVPD def2/J DEFGRID3
* xyz -1 1